A blog about Anything; Life, the Universe or Everything.

About the Author

Hey there, fellow bloggers! I gotta say, trying to navigate Wordpress is like trying to dance the Macarena with two left feet. I mean, what’s with these Blocks? Are they like Tetris pieces that we have to fit together to make a post? And don’t even get me started on editing the layout. It’s like trying to dress a cat in a tutu. Sure, it might look cute, but good luck getting it to stay that way! I just hope I don’t end up with more edits than actual posts. Otherwise, I’ll have to hire a personal assistant just to keep up with all the changes.

This is where I start sharing my brutal honesty. I did write the part above but didn’t like how I said it, so I used a little AI to spice it up. My apologies to whatever poor soul created some of the parts of this. The odd thing is I can see myself in this, but at least half of it must have been stolen from someone who is now a nameless gathering of bits inside some Large Language Model.

This was your first clue about what I mean when I say this blog is about anything and everything. I’m one of those nerdy science geeks that sticks his nose into everything science, philosophy, religion, politics, and my wife’s tomato pie! The last one is particularly delicious and what I had for the first meal, where I break my fast after the most significant part of the day has passed, around 5:30 pm, which brings me to my first tidbit about me. I’m a type 2 diabetic, and I hate breaking my fast because it is always the first volley in a fight with my insulin pump, and it reminds me as I scan over what I wrote: I won’t write about sports. Mostly I don’t because I rarely watch them except for the occasional Steeler’s game if they’re winning by the time I get around to watching the season. I have no idea how they’re doing this year, which says something else about me.

I can’t say much about the template I’m using; it wants to keep my text area confined to the right. I’d prefer it to be a little more to the left. (insert sly political reference) At least electrons don’t have the same effect on the planet. It doesn’t make much difference whether I use the entire width of the page or not. This reminds me; I keep looking to insert a comment about my being a writer. Here is as good a place as any. I’m a writer. I’m also working on my first book, which takes more effort than commenting on someone else’s body of work. I’m not worried about whether I get followers or not. If I don’t, this just becomes a good place to vent. Of course, my book doesn’t look anything like my blog. I would love to talk about it, but I’m under penalty of death from my wife if I do. According to her, the book is good enough to generate memes. Heck, the title is a meme, kind of. I’ll have to wait to see whether that’s true or not. I expect to have it finished by the end of the year; who knows how long it will take to get it published.

Even if I can’t talk about my book, and can talk about my basic philosophy. I didn’t want to write a book full of the usual tropes. I thought about getting the AI to help me out, but after it kept trying to pull me into a Hero’s Journey, I had to back out. I do not want another hero’s journey! I’m sick of all the fighting, killing, and frankly, there’s enough of that going on in the news to keep me depressed for the remainder of my life. Depending on how one looks at it, it could be tomorrow, and if I can hang around for another five to ten years, I might get the opportunity to grow younger, which reminds me of a routine I have with my wife. I’ll gripe about getting older; the usual, it ain’t for sissies. But, I’ll say, “Ugh! I hate this growing older crap.” and she’ll reply, “At least it beats the alternative.” and I say, “What? Growing younger?” I do this because the conversation ends there. She knows better than to bait me.

### Attached: data records
'''
Compound: RbLiCl2
Source: the Materials Project
Functional: meta-GGA r2SCAN
Structure: relaxed

a = 7.4997 Å, b = 7.4997 Å, c = 7.1844 Å
α = 90.00°, β = 90.00°, γ = 148.10°
Last column: nearest neighbours and their distance in Å.
Fractional coordinates of all 8 atoms:
Rb: 0.1294 0.8706 0.7500  8 Cl 3.31-3.70
Rb: 0.8706 0.1294 0.2500  8 Cl 3.31-3.70
Li: 0.3959 0.6041 0.7500  4 Cl 2.34-2.41
Li: 0.6041 0.3959 0.2500  4 Cl 2.34-2.41
Cl: 0.1901 0.8099 0.2500  2 Li 2.41
Cl: 0.5000 0.5000 0.0000  2 Li 2.34
Cl: 0.5000 0.5000 0.5000  2 Li 2.34
Cl: 0.8099 0.1901 0.7500  2 Li 2.41

Results
For the formation enthalpy at 0 K, the calculation gives -2.10 eV per atom. As for the space group: Cmcm.

* * * * *

Entry 1:
NbP2NCl12 after structural relaxation. Source: the Materials Project, functional PBE-GGA.

Cell: 8.320 8.320 15.926 Å, 78.48 78.48 65.81°
Fractional positions:
1 Nb 0.000 0.000 0.500
2 Nb 0.000 0.000 0.000
3 P 0.460 0.320 0.771
4 P 0.680 0.540 0.729
5 P 0.320 0.460 0.271
6 P 0.540 0.680 0.229
7 N 0.621 0.379 0.750
8 N 0.379 0.621 0.250
9 Cl 0.704 0.219 0.008
10 Cl 0.787 0.897 0.473
11 Cl 0.296 0.781 0.992
12 Cl 0.902 0.483 0.649
13 Cl 0.239 0.498 0.824
14 Cl 0.517 0.098 0.851
15 Cl 0.103 0.213 0.027
16 Cl 0.483 0.902 0.149
17 Cl 0.954 0.910 0.151
18 Cl 0.781 0.296 0.492
19 Cl 0.910 0.954 0.651
20 Cl 0.213 0.103 0.527
21 Cl 0.897 0.787 0.973
22 Cl 0.273 0.401 0.166
23 Cl 0.599 0.727 0.334
24 Cl 0.090 0.046 0.349
25 Cl 0.727 0.599 0.834
26 Cl 0.219 0.704 0.508
27 Cl 0.046 0.090 0.849
28 Cl 0.098 0.517 0.351
29 Cl 0.761 0.502 0.176
30 Cl 0.502 0.761 0.676
31 Cl 0.401 0.273 0.666
32 Cl 0.498 0.239 0.324

Properties
E_form in kJ/mol of formula units: -2057
E in eV per atom: -4.0874

***

Entry 2:
Nd2NCl3 after structural relaxation. Source: the Materials Project, functional PBE-GGA.

Cell: 6.293 6.912 13.554 Å, 90.00 90.00 90.00°
Fractional positions:
1 Nd 0.006 0.325 0.408
2 Nd 0.506 0.175 0.092
3 Nd 0.494 0.325 0.592
4 Nd 0.994 0.175 0.908
5 Nd 0.994 0.675 0.592
6 Nd 0.494 0.825 0.908
7 Nd 0.506 0.675 0.408
8 Nd 0.006 0.825 0.092
9 N 0.750 0.492 0.500
10 N 0.250 0.008 0.000
11 N 0.250 0.508 0.500
12 N 0.750 0.992 0.000
13 Cl 0.104 0.362 0.718
14 Cl 0.604 0.138 0.782
15 Cl 0.396 0.362 0.282
16 Cl 0.896 0.138 0.218
17 Cl 0.750 0.502 0.000
18 Cl 0.250 0.998 0.500
19 Cl 0.250 0.498 0.000
20 Cl 0.750 0.002 0.500
21 Cl 0.104 0.862 0.782
22 Cl 0.604 0.638 0.718
23 Cl 0.396 0.862 0.218
24 Cl 0.896 0.638 0.282

Properties
E_form in kJ/mol of formula units: -1388
E in eV per atom: -5.9931

***

Entry 3:
NdN2Cl5 after structural relaxation. Source: the Materials Project, functional PBE-GGA.

Cell: 10.242 8.333 9.808 Å, 90.00 90.00 90.00°
Fractional positions:
1 Nd 0.550 0.750 0.969
2 Nd 0.450 0.250 0.031
3 Nd 0.050 0.250 0.531
4 Nd 0.950 0.750 0.469
5 N 0.452 0.412 0.595
6 N 0.548 0.588 0.405
7 N 0.952 0.588 0.905
8 N 0.548 0.912 0.405
9 N 0.048 0.412 0.095
10 N 0.452 0.088 0.595
11 N 0.048 0.088 0.095
12 N 0.952 0.912 0.905
13 Cl 0.417 0.750 0.741
'''
### The article goes on

I just got the five-minute warning. Dinner is ready. For the first blog page, this will have to do. I can’t spend too much time doing this. It takes away from the book. If it looks good enough, I’ll return when the mood hits me. PS: I just noticed that the Get in Touch button works. I’ll take care of that as soon as I can figure out which part of WordPress handles comments and contact emails! 🙂